In a Washington Post opinion piece about social mobility in the United States, columnist Fareed Zakaria says “cities with strong families, civic support groups and a community-service orientation do well on social and economic mobility.” He notes that this is “why Salt Lake City — dominated by Mormons — has mobility levels that compare with” countries in northern Europe that “do better at moving poor people up the ladder than the United States does." Salt Lake City may not be “dominated” by Mormons, but the Latter-day Saints there consider it a religious duty to help their neighbors.
Zakaria calls this fabric of community relationships “social capital,” and it’s one of the values that The Church of Jesus Christ of Latter-day Saints lives by. What’s more, this same “social capital” is greatly boosted by religion. Several commentaries on MormonNewsroom.org explain how Mormon faith and practice help create strong families and robust communities. But it’s not only Mormons. All people of faith nurture social capital in their efforts to make the world a better place.
(These calculated crystals were left in the entry by mistake)
~~~
# BaAcGaSn GGA-PBE relaxed
data_BaAcGaSn
_space_group_name_H-M_alt 'F -4 3 m'
_space_group_IT_number 216
_space_group_name_Hall 'F -4 2 3'
_cell_length_a 8.1977
_cell_length_b 8.1977
_cell_length_c 8.1977
_cell_angle_alpha 90.00
_cell_angle_beta 90.00
_cell_angle_gamma 90.00
loop_
_atom_site_label
_atom_site_type_symbol
_atom_site_fract_x
_atom_site_fract_y
_atom_site_fract_z
_atom_site_occupancy
Ba1 Ba 0.0000 0.0000 0.0000 1
Ac1 Ac 0.0000 0.0000 0.5000 1
Ga1 Ga 0.2500 0.2500 0.2500 1
Sn1 Sn 0.2500 0.2500 0.7500 1
# Calculated volume = 550.90 Å³/cell
# ΔE_f = -0.4402 eV per atom
# Calculated total energy = -3.705 eV/atom



# SrAlW3 GGA-PBE relaxed
data_SrAlW3
_space_group_name_H-M_alt 'P m -3 m'
_space_group_IT_number 221
_space_group_name_Hall '-P 4 2 3'
_cell_length_a 4.7671
_cell_length_b 4.7671
_cell_length_c 4.7671
_cell_angle_alpha 90.00
_cell_angle_beta 90.00
_cell_angle_gamma 90.00
loop_
_atom_site_label
_atom_site_type_symbol
_atom_site_fract_x
_atom_site_fract_y
_atom_site_fract_z
_atom_site_occupancy
Sr1 Sr 0.0000 0.0000 0.0000 1
Al1 Al 0.5000 0.5000 0.5000 1
W1 W 0.0000 0.5000 0.5000 1
# Calculated volume = 108.33 Å³/cell
# ΔE_f = 1.8118 eV per atom
# Calculated total energy = -7.045 eV/atom
# Polymorph energy (0 for the lowest one) = 0 meV per atom



# DyNbNi2 GGA-PBE relaxed
data_DyNbNi2
_space_group_name_H-M_alt 'P 4/m m m'
_space_group_IT_number 123
_space_group_name_Hall '-P 4 2'
_cell_length_a 3.2085
_cell_length_b 3.2085
_cell_length_c 6.6171
_cell_angle_alpha 90.00
_cell_angle_beta 90.00
_cell_angle_gamma 90.00
loop_
_atom_site_label
_atom_site_type_symbol
_atom_site_fract_x
_atom_site_fract_y
_atom_site_fract_z
_atom_site_occupancy
Dy1 Dy 0.0000 0.0000 0.0000 1
Nb1 Nb 0.0000 0.0000 0.5000 1
Ni1 Ni 0.5000 0.5000 0.3012 1
# Calculated volume = 68.12 Å³/cell
# ΔE_f = -0.1925 eV per atom
# Calculated total energy = -6.751 eV/atom
# Polymorph energy (0 for the lowest one) = 29 meV per atom



# Rb2GaSiS4 GGA-PBE relaxed
data_Rb2GaSiS4
_space_group_name_H-M_alt 'F d d d'
_space_group_IT_number 70
_cell_length_a 6.0595
_cell_length_b 13.5976
_cell_length_c 24.1530
_cell_angle_alpha 90.00
_cell_angle_beta 90.00
_cell_angle_gamma 90.00
loop_
_space_group_symop_operation_xyz
'x,y,z'
'-x,-y,-z'
'-x+1/4,-y+1/4,z'
'x+1/4,y+1/4,-z'
'x,-y+1/4,-z+1/4'
'-x,y+1/4,z+1/4'
'-x+1/4,y,-z+1/4'
'x+1/4,-y,z+1/4'
'x,y+1/2,z+1/2'
'-x,-y+1/2,-z+1/2'
'-x+1/4,-y+3/4,z+1/2'
'x+1/4,y+3/4,-z+1/2'
'x,-y+3/4,-z+3/4'
'-x,y+3/4,z+3/4'
'-x+1/4,y+1/2,-z+3/4'
'x+1/4,-y+1/2,z+3/4'
'x+1/2,y,z+1/2'
'-x+1/2,-y,-z+1/2'
'-x+3/4,-y+1/4,z+1/2'
'x+3/4,y+1/4,-z+1/2'
'x+1/2,-y+1/4,-z+3/4'
'-x+1/2,y+1/4,z+3/4'
'-x+3/4,y,-z+3/4'
'x+3/4,-y,z+3/4'
'x+1/2,y+1/2,z'
'-x+1/2,-y+1/2,-z'
'-x+3/4,-y+3/4,z'
'x+3/4,y+3/4,-z'
'x+1/2,-y+3/4,-z+1/4'
'-x+1/2,y+3/4,z+1/4'
'-x+3/4,y+1/2,-z+1/4'
'x+3/4,-y+1/2,z+1/4'
loop_
_atom_site_label
_atom_site_type_symbol
_atom_site_fract_x
_atom_site_fract_y
_atom_site_fract_z
_atom_site_occupancy
Rb1 Rb 0.1250 0.1250 0.3045 1
~~~
Mormon Newsroom’s most recent commentary about the relevance of religion points out that religious observance strengthens communities.
The value of religion speaks less through sermons and more through the soup kitchens, hospitals, schools and countless other humanitarian works it nurtures. Simply put, religion builds social capital. Research shows that more than 90 percent of those who attend weekly worship services donate to charity. … Religious observance is linked to higher civic involvement, connected to trust and correlated with the neighborly virtues of charitable giving, volunteerism and altruism. Churches of all kinds bring communities together and provide a space and setting for individuals to serve people they otherwise would not. According to Rabbi [Jonathan] Sacks, religion “remains the most powerful community builder the world has known.”
A commentary about why society needs strong families highlights the importance of individual families in fostering successful communities.
None of us lives in isolation. A report on the state of marriage in America put it this way: “Marriage is not merely a private arrangement; it is also a complex social institution. Marriage fosters small cooperative unions — also known as stable families — that enable children to thrive, shore up communities, and help family members to succeed during good times and to weather the bad times.”
Materials data, kept here for reference:
********
Arrangement a

First-principles (GGA-PBE) data for Y4RhPb after structural relaxation, as listed in Alexandria via LeMat-Bulk.

## Properties
density of states at the Fermi level: 6.6 states/eV/f.u.

Cell lengths 6.1408, 6.1408, 6.1408 Å; angles 60.00, 60.00, 60.00 degrees
Closest atoms and distances in Å follow each position.
Positions (direct):
Y1 0.8764 0.3745 0.3745  6 Y 3.06-3.08
Y2 0.3745 0.3745 0.8764  6 Y 3.06-3.08
Y3 0.3745 0.8764 0.3745  6 Y 3.06-3.08
Y4 0.3745 0.3745 0.3745  6 Y 3.06-3.08
Rh1 0.0000 0.0000 0.0000  12 Y 3.60, 4 Pb 3.76
Pb1 0.7500 0.7500 0.7500  12 Y 3.60, 4 Rh 3.76

Arrangement b

First-principles (GGA-PBE) data for Y4RhPb after structural relaxation, as listed in Alexandria via LeMat-Bulk.

## Properties
density of states at the Fermi level: 6.0 states/eV/f.u.

Cell lengths 6.1061, 8.5612, 8.1431 Å; angles 114.97, 103.28, 106.03 degrees
Closest atoms and distances in Å follow each position.
Positions (direct):
Y1 0.0468 0.2120 0.8569  2 Rh 2.93-2.98, 1 Pb 3.26
Y2 0.7885 0.7169 0.6580  2 Rh 2.91-2.93, 2 Pb 3.26
Y3 0.3101 0.6448 0.8569  2 Rh 2.93-2.98, 1 Pb 3.26
Y4 0.3696 0.9411 0.6580  2 Rh 2.91-2.93, 2 Pb 3.26
Y5 0.6304 0.0589 0.3420  2 Rh 2.91-2.93, 2 Pb 3.26
Y6 0.6899 0.3552 0.1431  2 Rh 2.93-2.98, 1 Pb 3.26
Y7 0.2115 0.2831 0.3420  2 Rh 2.91-2.93, 2 Pb 3.26
Y8 0.9532 0.7880 0.1431  2 Rh 2.93-2.98, 1 Pb 3.26
Rh1 0.2500 0.0000 0.0000  8 Y 2.91-2.98, 2 Rh 3.05
Rh2 0.7500 0.0000 0.0000  8 Y 2.91-2.98, 2 Rh 3.05
Pb1 0.3787 0.6287 0.2574  8 Y 3.26-3.38
Pb2 0.6213 0.3713 0.7426  8 Y 3.26-3.38

In kJ/mol of atoms, relative to the most stable structure: arrangement a 86.6; arrangement b 0.0.

Arrangement a

First-principles (GGA-PBE) data for Zr2RhPb2 after structural relaxation, as listed in Alexandria via LeMat-Bulk.

## Properties
density of states at the Fermi level: 4.5 states/eV/f.u.

Cell lengths 6.9590, 6.9590, 4.9618 Å; angles 90.00, 90.00, 90.00 degrees
Closest atoms and distances in Å follow each position.
Positions (direct):
Pb1 0.1650 0.6650 0.5000  6 Zr 3.02-3.35, 1 Pb 3.25
Pb2 0.6650 0.8350 0.5000  6 Zr 3.02-3.35, 1 Pb 3.25
Pb3 0.8350 0.3350 0.5000  6 Zr 3.02-3.35, 1 Pb 3.25
Pb4 0.3350 0.1650 0.5000  6 Zr 3.02-3.35, 1 Pb 3.25
Rh1 0.0000 0.0000 0.0000  4 Zr 2.62
Rh2 0.5000 0.5000 0.0000  4 Zr 2.62
Zr1 0.3405 0.8405 0.0000  2 Rh 2.62
Zr2 0.8405 0.6595 0.0000  2 Rh 2.62
Zr3 0.6595 0.1595 0.0000  2 Rh 2.62
Zr4 0.1595 0.3405 0.0000  2 Rh 2.62

Arrangement b

First-principles (GGA-PBE) data for Zr2RhPb2 after structural relaxation, as listed in Alexandria via LeMat-Bulk.

## Properties
density of states at the Fermi level: 3.8 states/eV/f.u.

Cell lengths 7.0670, 7.0670, 4.5203 Å; angles 90.00, 90.00, 90.00 degrees
Closest atoms and distances in Å follow each position.
Positions (direct):
Pb1 0.3507 0.8507 0.0000  2 Rh 2.69, 2 Zr 2.96, 1 Pb 2.98
Pb2 0.8507 0.6493 0.0000  2 Rh 2.69, 2 Zr 2.96, 1 Pb 2.98
Pb3 0.6493 0.1493 0.0000  2 Rh 2.69, 2 Zr 2.96, 1 Pb 2.98
********
Another commentary notes that Mormonism encourages its members to lift society by thinking of their fellow man first. Importantly, the Church seeks to help all people — not just its members.
Mormons contribute donations to a welfare program that is operated, administered and implemented by rich and poor members alike. Everyone is invested in the system. And you don’t have to be a Mormon to participate. Whether one has fallen ill, lost a breadwinner or can’t find a job, this network of compassion works hard to put people back on their feet. Bad things happen to everyone, near and far. In addition, when disasters strike in places around the world, Mormon volunteers offer a helping hand. And on an ongoing basis, service missionaries partner with local and international charitable organizations to help alleviate poverty, prevent disease and give relief to the disabled.
____________
Entry 1:
FeSb2TeAu | PBE | optimized geometry

Structure (POSCAR):
```
FeSb2TeAu
1.0
5.796 0.000 0.000
0.000 5.796 0.000
0.000 0.000 4.679
Fe Sb Te Au
1 2 1 1
direct
0.000 0.000 0.000 Fe
0.000 0.500 0.500 Sb
0.500 0.000 0.500 Sb
0.000 0.000 0.500 Te
0.500 0.500 0.000 Au
```

Computed properties:
* uncorrected formation energy: 1.11 eV/atom
* magnetization: 2.7 μB per cell
* offset from the most stable computed form: 0.653 eV/atom

Entry 2:
Fe2SbPd8 | PBE | optimized geometry

Structure (POSCAR):
```
Fe2SbPd8
1.0
3.613 -5.865 0.000
3.613 5.865 0.000
-1.841 0.000 4.217
Fe Sb Pd
2 1 8
direct
0.190 0.810 0.000 Fe
0.810 0.190 0.000 Fe
0.500 0.500 0.500 Sb
0.110 0.110 0.315 Pd
0.171 0.410 0.889 Pd
0.277 0.723 0.500 Pd
0.410 0.171 0.889 Pd
0.590 0.829 0.111 Pd
0.723 0.277 0.500 Pd
0.829 0.590 0.111 Pd
0.890 0.890 0.685 Pd
```

Computed properties:
* uncorrected formation energy: -0.04 eV/atom
* magnetization: 8.4 μB per cell
* offset from the most stable computed form: 0.155 eV/atom

- What is the uncorrected formation energy in the second record?
  -0.04 eV/atom

- Which value of uncorrected formation energy does entry 2 give?
  -0.04 eV/atom

- What is the formula in the second record?
  Fe2SbPd8

- What is the formula in the second record?
  Fe2SbPd8
____________
• Back to the text:
Additional commentaries that address religion’s vital role in society are listed below.